Collectors can choose to buy and sell Moments or Hype NFTs on the UFC Strike Marketplace to create their perfect collection.
Buying NFTs
To purchase a Moment or Hype NFT, head to the Marketplace by clicking on the Marketplace button at the top of the screen. On the left-hand side, you'll be able to view either Moments or Hype NFTs that are listed for sale so make sure to select the right tab. You can also use the search bar or filters to search for the specific NFT that you're looking for. Once you have found what you'd like to purchase, click Buy Now.
From here, you'll be taken to the NFT page which has details about the NFT you'd like to purchase. Hit Select and Buy to see the serial numbers that are available for purchase.
Select the serial that you would like to purchase and then click the 'Buy' button at the bottom to continue.
You'll be taken to your Dapper Wallet in the form of a pop-up window where you will be able to select your preferred payment method to purchase. Once you have completed your purchase, the pop-up will automatically close and it may take a few minutes to process the transaction. After the transaction completes, you will see a successful confirmation page showing you the NFT you have purchased.
Listing NFTs
The first step is to head to your Marketplace collection. You can do this by clicking on the Marketplace button at the top of the screen. Once you're there, click on your avatar on the top right-hand side of the page and select View My NFTs in the drop-down menu.
When you're on this screen, you will be able to see all of the NFTs that you own in your collection with two tabs separating your UFC Strike Moments and Hype NFTs. This page will also show you any NFTs that you currently have for sale.
Once you click on the NFT that you wish to sell, you'll see the details of the NFT along with the option to List For Sale. Click on List For Sale in order to sell your NFT.
On the next screen, you will be given the option to enter the price you'd like to list your NFT at. This will be the price that is set for other collectors to purchase your NFT. There are also details from the Marketplace that can help you to price your NFTs and the funds you should expect to receive once it has been sold (minus Marketplace fees).
Please Note: Ensure you have double-checked the NFT you'd like to list and the price you'd like to list. NFTs that are on the Marketplace can sell quickly and we are unable to reverse transactions for NFTs that have been mistakenly sold.
Once you decide on the price, enter it and click List For Sale. You'll be sent to your Dapper Wallet to confirm the transaction so make sure your pop-ups are enabled. It can take a few minutes for the transaction to complete.
After the transaction completes, you'll be able to head back to your collection page from the Marketplace and see any listings on the Marketplace indicated by the For Sale indicator on the top left-hand side of the NFT.
Delisting NFTs
[Someone pasted materials data at this point]
<<<
DFT (r2SCAN) results for ScCuSe2 after structural relaxation.

The structure belongs to space group C2/m (No. 12); the cell edges are 14.291, 3.901 and 6.723 Å and the angles 90.00°, 117.29° and 90.00°. The inequivalent atoms are Sc at (0.243, 0.000, 0.235), Cu at (0.061, 0.500, 0.897), Se at (0.127, 0.000, 0.787) and Se at (0.130, 0.500, 0.305).

Its calculated formation energy is -1287.8 meV per atom. As for the crystal system: monoclinic.

***

DFT (r2SCAN) results for ScCuSe2 after structural relaxation.

The structure belongs to space group P2_1/c (No. 14); the cell edges are 9.233, 7.779 and 12.684 Å and the angles 90.00°, 133.02° and 90.00°. The inequivalent atoms are Sc at (0.001, 0.244, 0.005), Sc at (0.496, 0.001, 0.240), Cu at (0.167, 0.001, 0.895), Cu at (0.329, 0.250, 0.354), Se at (0.161, 0.504, 0.201), Se at (0.170, 0.505, 0.708), Se at (0.333, 0.243, 0.548) and Se at (0.334, 0.746, 0.042).

Its calculated formation energy is -1285.3 meV per atom. As for the crystal system: monoclinic.

***

DFT (r2SCAN) results for Sc3Cu4Si4 after structural relaxation.

The structure belongs to space group Immm (No. 71); the cell edges are 3.943, 6.390 and 13.046 Å and the angles 90.00°, 90.00° and 90.00°. The inequivalent atoms are Sc at (0.000, 0.000, 0.000), Sc at (0.000, 0.500, 0.126), Cu at (0.000, 0.306, 0.328), Si at (0.000, 0.000, 0.217) and Si at (0.000, 0.187, 0.500).

Its calculated formation energy is -645.5 meV per atom. As for the crystal system: orthorhombic.

***

DFT (r2SCAN) results for CuSe after structural relaxation.

The structure belongs to space group Cmcm (No. 63); the cell edges are 3.911, 7.035 and 17.081 Å and the angles 90.00°, 90.00° and 90.00°. The inequivalent atoms are Cu at (0.000, 0.070, 0.250), Cu at (0.000, 0.147, 0.613), Se at (0.000, 0.255, 0.750) and Se at (0.000, 0.481, 0.570).

Its calculated formation energy is -185.2 meV per atom. As for the crystal system: orthorhombic.

***

DFT (r2SCAN) results for CuSe2 after structural relaxation.

The structure belongs to space group Pa-3 (No. 205); the cell edges are 6.134, 6.134 and 6.134 Å and the angles 90.00°, 90.00° and 90.00°. The inequivalent atoms are Cu at (0.000, 0.000, 0.000) and Se at (0.110, 0.610, 0.890).

Its calculated formation energy is -127.4 meV per atom. As for the crystal system: cubic.

***

DFT (r2SCAN) results for Cu3Se2 after structural relaxation.

The structure belongs to space group P-42_1m (No. 113); the cell edges are 6.325, 6.325 and 4.318 Å and the angles 90.00°, 90.00° and 90.00°. The inequivalent atoms are Cu at (0.000, 0.000, 0.000), Cu at (0.144, 0.356, 0.240) and Se at (0.231, 0.731, 0.265).

Its calculated formation energy is -189.9 meV per atom. As for the crystal system: tetragonal.

***

DFT (r2SCAN) results for CuSe2 after structural relaxation.
>>>
If you no longer want to sell your NFTs or if you've mistakenly listed one for sale, you can easily delist them from the Marketplace.
........
Entry 1:
Bi15AsO25 | PBE-GGA | optimized geometry Values from VASP.

The structure in Quantum ESPRESSO input format:
```
&SYSTEM
  ibrav = 0, nat = 164, ntyp = 3
/
ATOMIC_SPECIES
Bi 208.98 Bi.upf
As 74.92 As.upf
O 16.00 O.upf
CELL_PARAMETERS angstrom
7.351 4.244 15.008
-7.351 4.244 15.008
0.000 -8.488 15.008
ATOMIC_POSITIONS angstrom
Bi -5.913 2.160 15.018
Bi -2.516 -0.308 9.084
Bi -5.139 -4.203 24.018
Bi -3.598 -3.830 19.090
Bi -3.507 -0.593 14.409
Bi -1.144 -6.570 17.980
Bi -2.158 -5.521 22.173
Bi -0.949 -1.992 12.294
Bi -1.306 -3.302 15.977
Bi -6.223 -0.678 26.415
Bi 1.086 -6.201 15.018
Bi -4.772 1.390 20.387
Bi -5.118 4.276 17.980
Bi -3.704 -3.794 28.189
Bi 1.525 -2.024 9.084
Bi -2.257 -0.202 18.006
Bi -3.654 -0.823 23.496
Bi -1.250 1.818 12.294
Bi -2.207 2.782 15.977
Bi -1.076 -1.929 21.076
Bi -1.486 -3.475 25.216
Bi 1.182 -4.827 20.387
Bi 0.991 2.333 9.084
Bi 2.267 -2.741 14.409
Bi 1.303 -1.854 18.006
Bi -2.573 -0.218 27.118
Bi -3.702 4.629 22.173
Bi 2.200 0.174 12.294
Bi -3.727 -0.752 32.468
Bi -1.133 1.896 21.076
Bi -1.518 5.031 19.090
Bi -0.993 -1.985 30.016
Bi -2.266 3.025 25.216
Bi 1.241 3.334 14.409
Bi 0.954 2.056 18.006
Bi 2.539 -2.753 23.496
Bi 3.513 0.520 15.977
Bi -2.545 -0.246 36.014
Bi 1.475 -2.119 27.118
Bi 2.209 0.033 21.076
Bi 3.699 -5.051 26.415
Bi -1.222 1.853 30.016
Bi -1.071 6.552 24.018
Bi 5.116 -1.201 19.090
Bi -1.433 5.105 28.189
Bi 1.114 3.576 23.496
Bi 1.098 2.337 27.118
Bi 2.515 -2.852 32.468
Bi 1.486 -2.081 36.014
Bi 4.827 4.041 15.018
Bi 2.215 0.132 30.016
Bi 3.590 3.437 20.386
Bi 3.753 0.451 25.216
Bi 6.209 -2.349 24.018
Bi 6.262 2.295 17.980
Bi 5.138 -1.311 28.189
Bi 5.860 0.892 22.173
Bi 1.213 3.604 32.468
Bi 1.059 2.328 36.014
Bi 2.524 5.729 26.415
As 0.000 0.000 6.149
As 0.000 0.000 24.204
As 0.000 0.000 33.172
As 0.000 0.000 42.180
O -6.510 1.553 17.471
O -1.836 -2.103 9.935
O -2.711 -4.711 17.410
O -5.937 -3.424 26.587
O 0.000 0.000 2.545
O -0.030 -1.639 5.581
O -1.404 0.845 5.581
O -0.834 -5.943 15.877
O -4.579 0.585 15.821
O -5.428 -2.164 23.502
O -4.581 -0.525 18.872
O -2.799 0.602 11.493
O 0.000 -5.229 13.315
O -4.529 2.614 13.315
O -5.540 0.003 21.796
O -2.705 -1.566 16.276
O -1.901 -4.299 20.449
O 0.000 0.000 7.894
O -4.730 3.694 15.877
O -2.651 -3.750 23.450
O 0.878 -2.725 11.493
O -2.857 -4.673 26.454
O -1.769 -2.032 18.971
O -2.011 1.158 14.340
O 0.002 -2.321 14.340
O 1.434 0.794 5.581
O -4.566 0.546 24.838
O -0.903 2.641 9.935
O 0.000 0.000 11.867
O 1.910 -6.414 17.471
O -4.637 -0.613 27.819
O -2.714 0.597 20.522
O -4.420 2.533 22.358
O 0.016 -5.094 22.358
O -2.934 -1.702 25.393
O 1.783 -4.258 15.821
O -1.927 -4.321 29.397
O 2.739 -0.538 9.935
O -2.724 4.703 17.410
O 0.000 0.000 17.629
O 0.840 -2.649 20.522
O -2.773 3.795 20.449
O -1.831 -2.026 27.955
O -1.428 0.798 23.606
O 2.745 -3.704 18.872
O 0.000 0.000 20.709
O 0.022 -1.636 23.606
O -0.875 2.548 18.971
O 1.921 2.122 11.493
O 2.767 -4.800 21.796
O 2.708 -1.560 16.276
O -0.003 3.126 16.276
O -2.794 0.593 29.416
O -2.919 -1.696 34.365
........
**So much for the calculated crystals**
First, you'll need to navigate back to your Marketplace collection as mentioned above. From there, you can easily distinguish the NFTs that are listed by the For Sale indicator on the top left-hand side of the NFT.
Select the NFT that you would like to delist from the Marketplace. You will be brought to the NFT listing page which will include information about that NFT, including the sales history, listing price and the current Owner (which would be you).
Click on the Remove Listing button to begin delisting your NFT. You'll be brought back to your Dapper Wallet in a pop-up window to confirm the delisting. This may take a few minutes to complete the transaction.
Once the transaction is complete, you're done! The NFT has been delisted from the Marketplace and will be safely stored in your collection until you decide what you'd like to do with it.